_Contents_
~~~
DFT (wB97M-V/def2-TZVPD) results for 12 unconnected molecules or ions with the total composition C78H180N12O12.

Highest occupied orbital energy in hartree: -0.279
Kohn-Sham gap in eV: 7.99
SMILES string: CC1(C)CCCC(C)(C)N1O.CC1(C)CCCC(C)(C)N1O.CC1(C)CCCC(C)(C)N1O.CC1(C)CCCC(C)(C)N1O.CC1(C)CCCC(C)(C)N1O.CC1(C)CCCC(C)(C)N1O.COC[C@H](C)N.COC[C@H](C)N.COC[C@H](C)N.COC[C@H](C)N.COC[C@H](C)N.COC[C@H](C)N

Geometry as XYZ:
```
282
Properties=species:S:1:pos:R:3:lowdin_charge:R:1
C 0.5789 -6.9538 2.0732 -0.053
C 1.9895 -6.4721 2.3643 -0.451
C 2.9145 -7.2993 1.4719 -0.041
C 2.0270 -4.9771 1.8069 -0.114
C 1.3996 -4.0409 2.8737 -0.202
C 2.1347 -4.1658 4.1920 -0.116
C 2.0056 -5.6060 4.8333 -0.448
C 2.9035 -5.7446 6.0801 -0.054
C 0.5531 -5.6553 5.3826 -0.042
N 2.4146 -6.6446 3.8344 -0.092
O 2.3091 -7.9472 4.3212 -0.009
H 0.4182 -6.9115 0.9959 0.081
H 0.4274 -7.9279 2.5382 0.088
H -0.2876 -6.3280 2.2868 0.072
H 2.8564 -6.9697 0.4345 0.066
H 3.9484 -7.1637 1.7894 0.083
H 2.5680 -8.3306 1.5396 0.083
H 3.0533 -4.6116 1.7704 0.081
H 1.4712 -4.7954 0.8871 0.101
H 1.3537 -3.0291 2.4708 0.092
H 0.3363 -4.2703 2.9437 0.094
H 1.7365 -3.3440 4.7873 0.122
H 3.1948 -4.1122 3.9441 0.085
H 3.9838 -5.6241 5.9988 0.055
H 2.7927 -6.7496 6.4872 0.072
H 2.7811 -5.0953 6.9469 0.083
H 0.2715 -6.5610 5.9197 0.078
H -0.1619 -5.6824 4.5604 0.059
H 0.3035 -4.8402 6.0619 0.084
H 3.1604 -8.3184 4.0781 0.103
C -0.7339 3.4114 -4.9636 -0.021
C -0.9498 4.8386 -5.5493 -0.429
C -2.3216 5.5540 -5.3467 -0.013
C 0.1541 5.7184 -4.9252 -0.100
C 0.7449 7.0008 -5.7325 -0.164
C 0.9676 6.6001 -7.1684 -0.154
C -0.2218 5.7564 -7.8444 -0.441
C -1.3566 6.8278 -8.1310 -0.021
C 0.3934 5.0666 -9.1039 -0.035
N -0.6775 4.6417 -7.0442 -0.182
O -1.6162 3.8409 -7.6559 0.010
H -0.4913 3.3895 -3.9012 0.071
H -1.6805 2.8710 -4.9642 0.080
H 0.0380 2.9135 -5.5504 0.068
H -2.4909 5.6837 -4.2778 0.072
H -2.3669 6.5528 -5.7809 0.066
H -3.1351 4.9756 -5.7846 0.081
H -0.2298 6.2137 -4.0334 0.097
H 0.9531 5.1222 -4.4844 0.092
H 0.0217 7.8157 -5.7006 0.090
H 1.6920 7.4417 -5.4215 0.103
H 1.8763 6.0018 -7.1017 0.112
H 1.3106 7.5116 -7.6578 0.118
H -1.3812 7.6085 -7.3707 0.064
H -2.3624 6.4110 -8.1836 0.066
H -1.3451 7.2780 -9.1237 0.079
H 1.0455 4.2149 -8.9105 0.077
H 0.8601 5.8550 -9.6945 0.076
H -0.3388 4.6663 -9.8051 0.072
H -2.2544 4.5576 -7.6304 0.063
C -7.0654 2.5108 6.4681 -0.014
C -7.4412 2.3943 4.9521 -0.447
C -8.4331 1.2604 4.5998 -0.032
C -8.1325 3.6104 4.4063 -0.172
C -7.2574 4.8691 4.2612 -0.171
C -6.0870 4.4458 3.3917 -0.152
C -5.2135 3.2135 3.7501 -0.428
C -4.3036 2.7123 2.5398 -0.008
C -4.2499 3.5043 4.9443 -0.036
N -6.1840 2.1507 4.1118 -0.172
O -5.5565 1.0018 4.2451 -0.033
H -6.6777 3.4260 6.9156 0.068
H -7.9038 2.2107 7.0967 0.077
H -6.2805 1.7755 6.6450 0.073
H -7.9701 0.4283 5.1303 0.077
H -9.4964 1.4285 4.7708 0.087
H -8.3528 1.1105 3.5232 0.082
H -8.6816 3.5304 3.4681 0.120
H -8.9780 3.9448 5.0074 0.117
H -7.6613 5.7119 3.7003 0.112
H -6.8895 5.3021 5.1915 0.106
H -5.4894 5.3511 3.4980 0.109
H -6.2287 4.4438 2.3109 0.109
H -4.9283 2.3616 1.7183 0.072
H -3.5773 2.0223 2.9692 0.061
H -3.8513 3.5686 2.0396 0.055
H -3.5969 4.3703 4.8361 0.079
H -3.6343 2.6483 5.2208 0.065
H -4.7828 3.9740 5.7709 0.055
H -5.9717 0.4361 3.5900 0.067
C 3.2454 2.9286 0.6883 -0.030
C 4.5132 3.2062 -0.2364 -0.456
C 5.8223 3.2240 0.5793 -0.032
C 4.4904 2.0219 -1.2812 -0.128
C 5.4226 2.1059 -2.5504 -0.165
C 5.0349 3.4256 -3.1901 -0.164
C 5.0347 4.7321 -2.3859 -0.465
C 6.4171 5.2274 -2.0911 -0.046
C 4.2508 5.8633 -3.1616 -0.008
N 4.3301 4.4145 -1.0651 -0.146
O 4.3272 5.4649 -0.2239 -0.023
H 3.2531 3.7888 1.3578 0.068
H 2.3147 3.1330 0.1591 0.069
H 3.2594 2.0539 1.3385 0.081
H 6.2235 4.1673 0.9497 0.082
H 5.6476 2.4584 1.3353 0.078
H 6.6820 2.8168 0.0471 0.066
H 4.7950 1.0994 -0.7870 0.111
H 3.4618 1.9927 -1.6408 0.093
H 6.4564 2.0102 -2.2184 0.103
H 5.3089 1.3801 -3.3556 0.097
H 4.1075 3.1933 -3.7135 0.113
H 5.7172 3.5135 -4.0356 0.115
H 6.5326 6.2594 -1.7596 0.084
H 7.0493 5.1606 -2.9765 0.087
~~~

_Request_
Retype only the lines further above with the word "orbital" in them.

_Completed_
Highest occupied orbital energy in hartree: -0.279